
Convenient access to spreadsheet-style game data files. CSV is the only included implementation, but writing new readers is trivial.

Here’s a simple example:

def f_char(val):
  "Ensure *val* is a one-character string"
  if isinstance(val, str) and len(val) == 1:
    return val
    raise ValueError("Bad character value: {!r}".format(val))

# Imagine you have a directory of CSVs with monster definitions.
# One of them, gnomes.csv, might look like this:
#  ID,            Strength,   Color,    Char
#  gnome_easy,    1,          #ff0000,  g
#  gnome_medium,  2,          #ffff00,  g
#  gnome_hard,    3,          #ff00ff,  g
#  gnome_huge,    4,          #880000,  G

# To read them, create a :py:class:`DataStore`, passing a class name
# for items and an ordered mapping of field name to value:
monster_types = DataStore('MonsterType', (
  ('id', str),
  ('strength', int), # int('5') = 5
  ('color', str),
  ('char', f_char),  # see helper at top of example

# You can load all the CSVs at once, like this:
monster_types.add_sources_with_glob('data/monsters/*.csv', CSVReader)

# Now you can access any monster type easily:
# > MonsterType(id='gnome_easy', strength=1, color='#ff0000', char='g')
# > same thing

# And if you edit your data files, you can reload them at runtime to
# immediately pick up changes:


Limitations and details:

  • The first field in the mapping must be a unique identifier, unique across all readers.
  • Identifiers may overlap built-in Python method names or start with numbers. To access these values by attribute, prefix them with r_. So a value with id 5 could be accessed by data_store.r_5. Or you could just use dict-style lookup, like data_store['5']. To avoid these issues, use Python-identifier-legal uppercase string identifiers.
  • You may pass default values to the DataStore. These only matter if your data may be missing keys (i.e. if your reader emits dict``s), so you can just pass ``None if you want.
class clubsandwich.datastore.CSVReader(path, skip_first_line=True)

Returns the lines from a single CSV file. If your first line is just column labels, you can skip it (this is the default behavior).

## These calculated molecules were left in the article by mistake
- - -
Entry from the OMol25 dataset: a molecular structure, C26H24N6PtS (ωB97M-V/def2-TZVPD).

```
58
Properties=species:S:1:pos:R:3
Pt -0.001 0.455 -0.695
C 2.992 -1.534 -0.691
C 3.173 -0.049 -0.730
C 4.474 0.434 -0.735
C 4.721 1.799 -0.736
C 3.644 2.654 -0.756
C 2.347 2.141 -0.764
N 2.117 0.787 -0.739
C 1.193 3.020 -0.779
C 1.209 4.409 -0.736
C 0.006 5.100 -0.723
C -1.199 4.413 -0.736
C -1.188 3.023 -0.779
N 0.001 2.378 -0.827
C -2.345 2.148 -0.764
C -3.640 2.665 -0.755
C -4.720 1.812 -0.736
C -4.477 0.446 -0.734
C -3.176 -0.039 -0.730
C -3.000 -1.526 -0.692
N -2.119 0.793 -0.740
H 3.961 -2.025 -0.643
H 2.486 -1.903 -1.581
H 2.432 -1.838 0.190
H 5.291 -0.266 -0.734
H 5.729 2.173 -0.715
H 3.794 3.718 -0.753
H 2.133 4.957 -0.710
H 0.008 6.177 -0.695
H -2.120 4.964 -0.709
H -3.788 3.729 -0.753
H -5.727 2.190 -0.715
H -5.297 -0.251 -0.734
H -3.970 -2.016 -0.644
H -2.439 -1.831 0.188
H -2.494 -1.895 -1.582
C 0.004 -0.520 4.638
N 0.002 -1.490 3.574
C 0.003 -2.845 3.705
C 0.000 -3.377 2.466
N -0.002 -2.344 1.524
C -0.001 -1.175 2.259
S -0.004 0.478 1.857
C -0.002 -2.588 0.138
C 0.000 -3.909 -0.339
C 0.001 -4.178 -1.690
- - -


Path to the file


See Reader.identifier


If True (default), always skip the first line of the file.


Iterator of CSV values. Values are lists.

class clubsandwich.datastore.DataStore(type_name, fields, defaults=None)

Collection of data sources for convenient access. See example in module docs for a basic guide.

Parameters:reader (Reader) –

Add a source that reads from the given reader.

add_sources_with_glob(pattern, reader_factory)
  • pattern (str) – Glob pattern (docs)
  • reader_factory (function) – reader_factory(path) -> Reader

Add multiple sources for paths that match the given pattern (glob). For example, if you wanted to read all CSV files in your “monsters” directory, you’d do this:

data_store.add_sources_with_glob('data/monsters/*.csv', CSVReader)

Someone pasted quantum chemistry results at this point
____________
Below is a 12-piece molecular cluster, C48H100N3O32P5 overall at a distorted geometry, with properties calculated with ωB97M-V with the def2-TZVPD basis set.

structure (SMILES): CCOP(=O)(OCC)OCC.CCOP(=O)(OCC)OCC.CCOP(=O)(OCC)OCC.CCOP(=O)(OCC)OCC.CCOP(=O)(OCC)OCC.O=C1OCCO1.O=C1OCCO1.O=C1OCCO1.O=C1OCCO1.CC#N.CC#N.CC#N
max |F|: 7.6 eV/A
E: -167843.1520 eV
frontier orbital gap: 0.3947 Ha

Positions of all 188 atoms, in Å:
C (-1.37, 18.91, -5.94)
C (-0.01, 18.99, -5.53)
N (1.09, 19.10, -5.15)
H (-1.90, 18.36, -5.15)
H (-1.35, 18.36, -6.88)
H (-1.70, 19.94, -6.04)
C (5.55, 18.72, -11.70)
C (6.34, 19.89, -11.96)
N (6.96, 20.88, -12.24)
H (6.28, 17.94, -11.46)
H (5.08, 18.51, -12.66)
H (4.95, 19.03, -10.85)
C (3.19, 13.81, -9.07)
C (3.53, 12.45, -8.66)
N (3.78, 11.38, -8.31)
H (2.19, 13.75, -9.50)
H (3.90, 13.97, -9.88)
H (3.21, 14.47, -8.20)
C (2.32, 14.44, -14.20)
C (3.32, 14.93, -13.11)
O (2.66, 15.18, -11.87)
P (1.52, 16.35, -11.77)
O (1.90, 17.61, -12.44)
O (0.19, 15.51, -12.27)
C (-0.16, 14.30, -11.65)
C (-1.50, 13.83, -12.28)
O (1.12, 16.58, -10.21)
C (1.47, 17.73, -9.47)
C (0.26, 18.71, -9.36)
H (1.71, 15.25, -14.59)
H (2.90, 14.12, -15.07)
H (1.75, 13.57, -13.87)
H (3.98, 14.08, -12.93)
H (3.81, 15.84, -13.46)
H (0.66, 13.59, -11.77)
H (-0.24, 14.47, -10.58)
H (-1.18, 13.42, -13.24)
H (-1.87, 12.94, -11.76)
H (-2.26, 14.60, -12.38)
H (1.83, 17.38, -8.50)
H (2.39, 18.16, -9.87)
H (0.45, 19.68, -8.89)
H (0.01, 18.94, -10.40)
H (-0.59, 18.23, -8.88)
C (7.35, 12.65, -8.86)
C (7.31, 13.98, -8.17)
O (8.30, 13.89, -7.11)
P (8.05, 14.67, -5.71)
O (9.18, 14.58, -4.83)
O (7.79, 16.17, -6.29)
C (8.36, 17.26, -5.63)
C (7.54, 17.55, -4.41)
O (6.67, 14.06, -5.12)
C (6.59, 12.78, -4.50)
C (5.70, 11.90, -5.44)
H (8.23, 12.54, -9.51)
H (7.34, 11.78, -8.21)
H (6.46, 12.67, -9.49)
H (7.60, 14.81, -8.81)
H (6.32, 14.20, -7.77)
H (9.44, 17.17, -5.46)
H (8.22, 18.15, -6.25)
H (7.81, 16.79, -3.67)
H (7.76, 18.46, -3.85)
H (6.50, 17.41, -4.71)
H (7.58, 12.40, -4.28)
H (6.03, 13.00, -3.59)
H (5.52, 10.91, -5.03)
H (4.70, 12.32, -5.51)
H (5.98, 11.78, -6.49)
C (13.77, 20.23, -10.08)
C (13.66, 19.71, -8.69)
O (12.99, 18.46, -8.71)
P (11.49, 18.35, -8.10)
O (11.52, 18.60, -6.65)
O (10.65, 19.45, -8.96)
C (9.31, 19.70, -8.63)
C (8.39, 18.65, -9.25)
O (10.98, 16.83, -8.50)
C (11.58, 15.74, -7.77)
C (11.92, 14.66, -8.68)
H (14.37, 19.52, -10.65)
H (12.80, 20.22, -10.57)
H (14.13, 21.25, -10.23)
H (14.69, 19.66, -8.33)
H (13.13, 20.45, -8.10)
H (9.07, 19.81, -7.57)
H (9.19, 20.67, -9.12)
H (8.56, 18.54, -10.32)
H (8.54, 17.69, -8.75)
H (7.37, 19.01, -9.10)
H (12.41, 16.16, -7.20)
H (10.79, 15.38, -7.11)
H (11.02, 14.35, -9.22)
H (12.69, 15.07, -9.33)
H (12.34, 13.76, -8.23)
C (4.75, 25.21, -3.85)
C (6.04, 24.59, -4.44)
O (5.62, 24.54, -5.82)
P (5.88, 23.16, -6.64)
O (5.35, 21.99, -5.90)
O (7.45, 23.19, -6.96)
C (8.03, 24.31, -7.61)
C (8.97, 23.93, -8.67)
O (5.15, 23.45, -8.10)
C (5.04, 22.47, -9.09)
C (3.72, 21.68, -8.92)
H (4.93, 25.64, -2.86)
H (4.38, 25.99, -4.51)
____________

Iterator of all items


Iterator of all item identifiers


Reload all sources. Does not pick up new files if you used a glob. To handle that case, call unload() and then re-add all your sources.


Remove all sources.

class clubsandwich.datastore.Reader

Abstract base class for a reader. You can subclass this for your own readers if you want, but duck typing is probably less verbose.


String identifier for this reader. Only used to provide helpful exception messages.


Iterator of sequences or dicts from the file or data structure. Like ('a', 'b', 'c') or {'f1': 'a', 'f2': 'b', 'f3': 'c'}.

class clubsandwich.datastore.Source(reader, row_class, fields, defaults=None)

Stores and indexes values from a reader. You shouldn’t need to worry about this class much; it’s created automatically for you, and sources are accessed in aggregate via a DataStore.


Some Reader subclass or duck-typed class.


Class to instantiate for each row


Sequence of pairs mapping field name to value factory


Default values for the fields, or None if you’re quite sure all values will be specified


List of items read from the source


Iterator of all keys in this source


Run the reader again; replace all stored items

exception clubsandwich.datastore.ValidationException

Thrown when a row does not match the mapping in your DataStore instance